One Lingering ‘Game Of Thrones’ Question: Who’s In Charge Of Dorne Now?

Winter has come. The seventh season of Game of Thrones is off and running and with only seven episodes, HBO doesn’t have time to hold our hands and explain things like where characters are, the history of new locations, or how the actions of one character affect the powder keg that is Westeros’ political climate. Luckily, between all of George R.R. Martin’s novels, and The World of Ice and Fire historical tome, there’s plenty of ways to fill in the blanks and we’re here to help. Obviously spoilers and speculation will abound, so proceed at your own peril.

In the world George R.R. Martin created with A Song of Ice and Fire, readers know that any death that happens off-screen doesn’t count. And for a while, that was the case on the HBO adaption as well. Then Game of Thrones killed Stannis Baratheon off-camera and he stayed dead, breaking the tacit agreement that characters left alive when the scene ended still had a fighting chance of returning. Now, it seems Ellaria Sand and her daughter Tyene will also suffer an off-screen death, left to rot in the bowels of the King’s Landing dungeon. Actress Indira Varma (Ellaria) revealed that was her character’s send-off. The Sand Snakes have officially been removed from the board.

This is disappointing for anyone who hoped Game of Thrones would get it together enough to make the Sand Snakes into fully developed characters and show how their machinations in Dorne could tip the balance of power as the nobles of Westeros jockey for the Iron Throne. In Martin’s novels, Dorne’s long-standing independence from the rest of the Seven Kingdoms combined with their geographical protection in the form of a mountain range from invading armies has given rise to two warring factions: those who want to rebel openly and those who prefer a more Machiavellian approach. Prince Doran Martell is still alive and well and his eldest daughter and heir, Arianne Martell, is plotting to put a very much alive Myrcella Baratheon on the Iron Throne. Or, barring that, Arianne could marry the alleged last living male Targaryen (Aegon) who has mysteriously popped up on Westerosi shores in recent days, thereby installing herself into power. After all, Arianne Martell was supposed to marry Viserys Targaryen before he took a pot of molten gold the face.

While all of this is going on, Prince Doran is utilizing the grief and rage of the Sand Snakes over their father’s death to further ensnare the Seven Kingdoms in Dorne’s grasp. Tyene, the daughter of a septa instead of Ellaria in the novels, is tasked with infiltrating the new religious fervor at King’s Landing and befriending the High Septon. Nymeria is also sent to King’s Landing to take her late father’s place on the Small Council as Dorne’s representative. Meanwhile, a Sand Snake that didn’t make the cut for Game of Thrones, Sarella, is thought to be disguised as a man in Oldtown, learning the secrets of the maesters for her uncle. Prince Doran is so plugged into the corrupt beating heart of Westeros, he even learns of a plot by Cersei to kill his youngest son Trystane and blame it on Tyrion. This is a kingdom that is, and has been, quietly pulling strings for the Targaryens for decades.

Cut to Game of Thrones and it’s clear the Dornish have been severely neutered for the sake of the plot. It got so bad at one point that a tongue-in-cheek Kickstarter was started to help HBO “fix Dorne.” But now, with the ignominious deaths of the Sand Snakes, along with Ellaria Sand who was a stand-in for Arianne, it seems Dorne is finished on the show. But by futzing with core story of the southernmost kingdom of Westeros, showrunners David Benioff and Daniel Weiss have accidentally opened up a plot hole big enough to fit Wun Wun through: Who the heck is in charge of Dorne now?

[Quantum chemistry results from another source follow]
1.
The following is a quantum chemistry calculation of C29H33FN5O7SSn as an isolated structure in a non-equilibrium geometry, from the Open Molecules 2025 dataset.

Calculated values
- net charge = +3
- LUMO (alpha / beta) (eV) = -9.94 / -10.02
- gap between HOMO and LUMO (alpha / beta) (eV) = 5.7 / 5.5
- largest force on an atom (hartree/bohr) = 0.0461

CARTESIAN COORDINATES (ANGSTROEM)
Sn (-3.430, 0.860, -1.153)
F (3.310, -1.009, 0.050)
C (2.963, 0.292, 0.080)
C (1.637, 0.600, -0.032)
C (1.218, 1.932, -0.084)
C (-0.217, 2.217, -0.255)
O (-1.049, 1.298, -0.320)
C (-0.467, 3.624, -0.361)
C (0.509, 4.573, -0.215)
N (1.796, 4.277, -0.032)
C (2.766, 5.355, 0.064)
C (3.480, 5.577, 1.367)
C (2.448, 6.555, 0.902)
C (2.189, 2.943, 0.004)
C (3.537, 2.599, 0.131)
C (3.967, 1.280, 0.166)
N (5.330, 0.990, 0.287)
C (5.805, -0.297, 0.777)
C (7.155, -0.122, 1.464)
N (8.129, 0.494, 0.508)
C (7.622, 1.820, 0.037)
C (6.272, 1.610, -0.635)
C (-1.957, 4.105, -0.668)
O (-2.069, 5.248, -0.237)
O (-2.659, 3.258, -1.205)
H (0.908, -0.193, -0.120)
H (0.253, 5.621, -0.268)
H (3.306, 5.512, -0.861)
H (4.523, 5.860, 1.331)
H (3.225, 4.935, 2.200)
H (2.773, 7.516, 0.532)
H (1.506, 6.585, 1.434)
H (4.263, 3.393, 0.228)
H (5.897, -1.037, -0.031)
H (5.116, -0.696, 1.514)
H (7.536, -1.084, 1.799)
H (7.068, 0.544, 2.321)
H (8.243, -0.127, -0.299)
H (9.050, 0.590, 0.939)
H (8.336, 2.259, -0.658)
H (7.525, 2.464, 0.909)
H (6.409, 0.977, -1.526)
H (5.893, 2.568, -0.977)
C (-7.627, 0.548, -0.302)
S (-6.007, -0.166, -0.274)
O (-5.978, -1.453, 0.374)
O (-5.097, 0.827, 0.403)
O (-5.515, -0.239, -1.677)
H (-7.716, 1.203, 0.561)
H (-8.373, -0.242, -0.273)
H (-7.686, 1.114, -1.228)
C (-4.564, -5.633, 0.655)
N (-4.151, -4.267, 0.894)
N (-3.656, -3.475, -0.047)
C (-3.428, -2.196, 0.545)
O (-2.878, -1.277, -0.049)
C (-3.824, -2.323, 1.917)
C (-4.264, -3.594, 2.098)
C (-4.814, -4.259, 3.302)
C (-3.309, -3.884, -1.357)
C (-3.757, -3.139, -2.446)
C (-3.391, -3.524, -3.723)
C (-2.594, -4.645, -3.922)
C (-2.145, -5.380, -2.830)
C (-2.493, -5.003, -1.548)
H (-4.704, -5.803, -0.408)
H (-5.501, -5.817, 1.176)
H (-3.816, -6.331, 1.036)
H (-3.804, -1.525, 2.639)
H (-4.724, -3.599, 4.160)
H (-4.297, -5.193, 3.523)
H (-5.874, -4.485, 3.161)
H (-4.438, -2.315, -2.293)
H (-3.752, -2.957, -4.570)
H (-2.326, -4.950, -4.925)
H (-1.511, -6.243, -2.980)
H (-2.098, -5.546, -0.698)

***

2.
The following is a quantum chemistry calculation of C6H9FN3V as an isolated structure in a non-equilibrium geometry, from the Open Molecules 2025 dataset.

Calculated values
- net charge = +2
- LUMO (alpha / beta) (eV) = -14.37 / -11.93
- gap between HOMO and LUMO (alpha / beta) (eV) = 3.2 / 6.5
- largest force on an atom (hartree/bohr) = 0.1287
- 2S+1 = 3

CARTESIAN COORDINATES (ANGSTROEM)
V (-2.766, -0.034, -1.048)
F (-0.951, 0.884, -1.383)
C (1.209, -0.943, -3.199)
C (1.109, -1.567, -1.963)
N (1.099, -2.092, -0.920)
H (2.259, -1.032, -3.477)
H (0.873, 0.092, -3.262)
H (0.520, -1.403, -3.907)
C (-0.504, 3.269, 0.984)

Prince Doran is dead. His heir on the show (Trystane) is dead. Ellaria Sand, for all intents and purposes, staged a bloodless coupe and took over the Dornish throne. But then she left her people to meet with Dany at Dragonstone, a mistake that cost the lives of her and her daughters. So now the Sand Snake revolutionaries are also dead. But they were taken by Euron Greyjoy before they ever got close to Dorne, meaning no invading army boiled over the Red Mountains and stormed Sunspear to install a puppet government. So that leaves the question: Who is running Dorne? Game of Thrones seemingly doesn’t care. The show has got enough balls in the air with the brewing war between Dany and Cersei, along with the imminent White Walker threat. But killing off the Dornish is not the same as wrapping up the plot. Dorne still has an army waiting for orders, though who is nominally overseeing them is now a mystery.

• Next to the entry, the page also holds data records:
┌──
(1)
This record from OMol25 describes a 13-piece molecular cluster, C22H70N4O13 overall at a distorted geometry. The level of theory is ωB97M-V/def2-TZVPD.

Summary:
HOMO energy (eV): -8.0
LUMO (hartree): -0.0027
Energy relative to the best compared isomer or geometry (same formula, charge and spin) (kcal per mole): 0.0
2S+1: 1
Maximum force (eV Å⁻¹): 8.5
HOMO-LUMO gap (Eh): 0.293
Electronic energy (Eh): -2077.15920

Structure (XYZ):
```
109
Properties=species:S:1:pos:R:3:forces:R:3
O 4.21165 1.27433 1.69633 0.751 1.267 1.032
O -1.85634 2.45676 3.60310 -4.231 -5.093 -1.140
H -0.17122 -0.26380 6.33257 0.750 0.249 -0.820
H 1.01473 3.93056 -5.34263 -0.203 -0.026 -0.199
H -1.43361 -4.02995 2.53017 -0.305 0.575 -0.187
H -5.51271 -0.95785 -1.08866 -0.133 -0.026 -0.550
O 1.98843 -0.95730 4.78529 -0.774 -0.941 -0.242
C -2.78514 2.69281 -1.03410 0.002 1.650 0.163
H 1.08146 2.32859 1.81618 0.768 1.071 0.206
H 0.54049 1.17934 -0.08142 -0.549 0.000 -0.216
H -0.02625 -3.31890 0.97524 0.925 0.373 -0.102
H 2.51374 3.30425 1.33220 -0.451 0.199 -0.077
O 1.30160 -0.96221 -2.85670 0.929 -0.043 1.427
C -2.67311 1.39330 3.21567 4.281 5.701 1.784
O 1.19648 3.58470 -4.46996 0.470 -0.137 0.480
H 3.78424 -0.47205 0.90990 -1.013 -0.075 -0.337
H 3.49396 -3.23432 -2.37800 0.629 0.322 -0.320
H -3.11612 1.65326 -1.09207 0.576 -0.218 0.788
H -2.25135 -0.48767 -2.19475 -0.660 0.596 1.495
O -1.13195 -0.36743 -3.77201 0.757 0.107 -1.331
H 0.80390 -4.32197 -1.44713 0.465 0.259 -0.532
C 0.16660 0.37206 5.47089 -1.053 -0.686 -0.538
N -2.73589 1.13247 1.93100 -0.591 -0.846 -3.300
H 0.00716 4.41093 2.80452 -1.175 -0.755 0.115
N 3.92762 -3.55603 1.55742 3.400 -2.474 -3.017
C 1.42218 3.36528 1.46339 -0.617 -3.136 0.740
C -3.85742 -1.48510 0.24324 -0.140 -2.318 -0.693
C -3.92340 3.56496 -0.55868 -1.626 -1.425 -0.767
H -5.20316 -0.02020 0.36646 -0.823 0.853 0.112
H 1.83685 -5.17746 -2.61119 -0.187 0.495 -0.048
H 0.64467 -0.53364 -0.24866 0.403 -0.765 -0.600
H -0.96883 0.15813 -0.28264 -0.394 0.352 -1.146
H 4.19847 1.37941 -0.92010 -0.775 -0.189 0.571
H -3.94363 -0.17171 3.64009 0.324 0.384 -0.145
C 2.87138 -3.57882 -1.57520 -1.181 -0.430 0.363
O -0.11715 0.01019 1.45294 -0.026 -0.428 3.370
C 2.21143 -1.10310 -3.90581 -0.741 -1.521 -0.663
H -1.33896 -2.92974 -3.54819 0.537 -0.662 -0.561
H 1.60619 4.36848 3.37380 0.847 -1.016 1.392
C 0.75980 -0.40324 4.26025 1.601 1.901 2.234
H -3.11678 -0.89232 -0.33325 -0.252 0.035 0.402
H -0.79692 0.59663 1.82788 0.216 -0.167 -0.074
C 3.35934 -2.96660 2.55954 2.151 -1.437 8.094
H -3.82525 4.60509 -0.79711 0.395 0.618 0.027
H -3.43664 0.78934 5.04824 0.442 -0.434 -2.632
O -1.73677 -3.26521 2.00943 -0.550 -0.514 1.350
C 3.20341 1.14595 -0.46604 0.398 0.670 0.684
H -3.64248 -2.55936 0.01952 -0.564 0.713 -0.936
H -1.63838 3.98714 -0.13685 -0.042 -1.771 0.346
H -3.02314 -2.22082 1.81402 0.252 0.001 0.547
H -2.46923 2.93003 -2.06278 0.038 0.130 0.231
H 1.30755 1.75513 -2.60046 0.639 -0.766 0.049
C 1.97462 -0.12639 -4.96383 3.459 1.571 -1.125
└──
• Back to the entry:

Maybe the Dornish can join the people of the Vale and just be grateful the oncoming storm of swords and dragons will pass them by since they aren’t important enough to the story. Ha ha, oh man, remember the Vale? And how it’s completely unprotected because Littlefinger took its army to the North. Normally that’d be a bad sign, but my guess is we’ll just never hear about them again. Until The Winds of Winter drops, anyway.